Monday, June 24, 2024

Coffee with MarkZ. 06/24/2024

Advisor To The Association Of Banks: The Central Bank's Third Strategy Is A New Methodology For Financial And Banking Reform, 24 JUNE

 Advisor To The Association Of Banks: The Central Bank's Third Strategy Is A New Methodology For Financial And Banking Reform

Economy News – Baghdad   Mecca – Exclusive   Samir Al-Nusairi, advisor to the Iraqi Private Banks Association, confirmed that the Central Bank's third strategy has drawn up a road map and programs with clear goals and initiatives for a period of three years in a special, complex, and risk-filled economic and financial situation.

Al-Nusairi said, in an interview from Makkah Al-Mukarramah, exclusively for “Al-Iqtisad News,” that “the Central Bank’s third strategy for the years (2024-2026), which derived its main and subsidiary objectives from the general economic policies of the state and its strategy for financial and banking reform that the government adopted in the government curriculum and from Central Bank Law No. 56 of 2004, and the new strategy has drawn up a road map and programs with clear objectives and initiatives for a period of three years in a special and complex economic and financial circumstance full of risks and challenges at the level of internal and external economic and financial relations.”

He pointed out, “What concerns us as specialists in economic, financial, and banking affairs is what are the new mechanisms and policies that the Central Bank has adopted in its monetary policy and banking reform? According to the approach of the fundamental change desired for the national economy, in which the banking sector constitutes the first and basic link and the implementer of monetary policy applications.”

Al-Nusairi explained that “the Central Bank’s third strategy set the basic goals at 7 goals, the sub-goals at 80 goals, and 75 initiatives to achieve the basic and subsidiary goals and charted the way for banking and financial reform in accordance with the following strategic goals: -

1- Supporting and enhancing monetary stability.

2- Promoting digital transformation and activating electronic payment.” Strengthening cybersecurity in the Central Bank and the banking sector.

3- Promoting financial inclusion.

4- Maintaining a sound financial system that guarantees the rights of its customers.

5- Developing the organizational structure and developing human resources capabilities in the central bank.

6- Strengthening the position of the central bank locally and internationally.

7- Strengthening the compliance of the banking sector Non-banking institutions in line with international standards.

He added, “These strategic objectives have been defined as programs and policies to achieve the primary and subsidiary objectives and their most prominent initiatives in achieving the first strategic objective, which is the national lending strategy, which will restructure banking financing in Iraq and the initiative to leave the electronic platform and adopt correspondent banks in Iraq.”

 External transfers and the goals emphasize protecting the financial system, enhancing financial inclusion, managing monetary and financial stability, developing control and supervision, developing regulation in the banking sector, completing the development of the organizational structure in the central bank in accordance with the frameworks and techniques adopted in international central banks, raising the capabilities of human resources, developing banking operations, and enhancing bank relations. internal and external, and to represent him locally and internationally.”

Al-Nusairi concluded, “By analyzing the mechanisms and action points to achieve the above goals, we note that the strategy identified the planning team, the implementation team, the implementation mechanisms, and responsibility. It also identified clear priorities for achieving reform. Certainly, these priorities were diagnosed in light of the challenges facing the monetary policy and the banking sector, the implementation steps, and the results achieved by the strategy.”

The first is for the years 2016-2020 and the second strategy is for the years 2021-2023 and the stifling economic and financial challenges that Iraq has suffered over the past years.

Work through this strategy is to clearly identify opportunities to overcome the challenges for this and for the purpose of implementing the banking reform methodology according to what was stated in the strategy and according to an insight into the priorities and challenges that The Iraqi banking sector is suffering from it.

These records of molecules were left in the article by mistake:
/*
[1]
Here is one molecule with the formula C4H7FS in a non-equilibrium geometry from the Open Molecules 2025 dataset. Energies are from ωB97M-V/def2-TZVPD.

Geometry as ORCA input:
```
! RIJCOSX wB97M-V def2-TZVPD def2/J DEFGRID3
* xyz 0 1
F 0.430 1.891 -0.415
C 0.369 0.874 0.504
C 1.292 -0.197 -0.098
C 0.057 -1.066 -0.467
C -0.833 -0.120 0.401
S -2.461 0.379 -0.089
H 0.640 1.275 1.584
H 1.850 0.151 -0.915
H 1.889 -0.785 0.559
H -0.203 -1.124 -1.504
H -0.010 -2.068 -0.048
H -0.884 -0.547 1.435
H -2.135 1.336 -0.947
*
```

The structure (SMILES) is F[C@@H]1CC[C@@H]1S. For the highest occupied orbital energy, the calculation gives -9.10 eV. The HOMO-LUMO gap is 10.1 eV.

[2]
Here is C4H7FeO2 as an isolated structure in a non-equilibrium geometry from the Open Molecules 2025 dataset. Energies are from ωB97M-V/def2-TZVPD.

Geometry as ORCA input:
```
! RIJCOSX wB97M-V def2-TZVPD def2/J DEFGRID3
* xyz 1 7
O -3.058 -0.702 0.790
C -2.770 -0.027 -0.381
C -1.364 -0.443 -0.871
C -0.432 -0.529 0.350
C 0.948 -0.292 0.032
O 1.882 -0.366 0.862
Fe 3.618 0.243 1.092
H -0.676 0.237 1.111
H -2.735 1.081 -0.228
H -3.483 -0.286 -1.199
H -1.002 0.241 -1.655
H -1.464 -1.448 -1.311
H -1.159 -1.247 1.104
H 1.146 0.263 -0.905
*
```

For the highest occupied orbital energy (spin up / spin down), the calculation gives -12.06 / -13.91 eV. As for the expectation value of S²: 12.008. The HOMO-LUMO gap (spin up / spin down) is 7.1 / 8.2 eV.

[3]
Here is C4H7GaO as an isolated structure in a non-equilibrium geometry from the Open Molecules 2025 dataset. Energies are from ωB97M-V/def2-TZVPD.

Geometry as ORCA input:
```
! RIJCOSX wB97M-V def2-TZVPD def2/J DEFGRID3
* xyz 1 2
H -0.186 0.611 -1.781
C -0.229 -0.987 -0.286
C 0.477 0.179 -1.019
C 0.359 0.941 0.243
O 1.338 1.286 0.972
Ga 3.021 1.072 1.053
H -0.707 -1.617 -1.049
H 0.521 -1.582 0.264
H 1.522 -0.022 -1.285
H -0.766 1.388 0.639
C -1.541 -0.234 0.560
H -2.434 -0.634 0.046
H -1.376 -0.401 1.642
*
```

For the highest occupied orbital energy (spin up / spin down), the calculation gives -13.17 / -14.11 eV. As for the expectation value of S²: 0.756. The HOMO-LUMO gap (spin up / spin down) is 8.1 / 8.9 eV.

Respective ΔE to the lowest compared entry with this formula, charge and spin values: 1.342, 0.621, 0.828 eV.

~~~~~

Record 1
Below is the molecule C20H41NO2, with properties calculated with ωB97M-V with the def2-TZVPD basis set.

```
64
C20H41NO2 (ωB97M-V with the def2-TZVPD basis set)
C 1.853 6.547 1.409
C 0.716 6.819 2.542
C -0.688 6.377 1.848
C -0.915 4.785 1.991
C -2.346 4.405 1.323
C -2.016 3.907 -0.186
C -1.920 2.279 -0.285
C -3.305 1.793 -0.930
C -3.679 0.251 -0.661
C -2.444 -0.685 -0.241
C -2.857 -2.208 -0.666
C -2.843 -3.236 0.575
C -1.742 -4.411 0.336
C -1.002 -4.683 1.735
C 0.479 -4.015 1.634
O 1.299 -5.026 0.925
C 2.262 -4.249 0.215
O 3.166 -3.584 0.789
N 2.169 -4.232 -1.250
C 3.384 -4.855 -1.891
C 4.068 -3.755 -2.858
C 4.360 -2.456 -1.969
C 5.256 -1.392 -2.804
H 2.910 6.781 1.789
H 1.766 5.464 1.072
*/

The Central Bank made exceptional efforts during this year and last year, completing the first phase of it and began implementing the second phase.

Many of the primary and secondary objectives were achieved, and it is trying to complete the achievement of all the objectives in the second half of 2024 and the years 2025 and 2026 of the plan that has been proven to have been prepared and planned. It has identified advanced steps on the path to systematic implementation of the desired financial and banking reform in Iraq.

283 views   06/23/2024 -


 Global Currency Reset:

Judy Note: On Sat. 22 June 2024 Texas Snake, Wolverine, MarkZ and Tony all reported that this weekend Redemption Center staff were put on a one hour alert for report to their stations in order to schedule Tier4b (Us, the Internet Group) appointments and later, help complete currency exchanges. A HSBC Bank Manager in Australia confirmed the above, saying the one hour alert extended until Thurs. 27 June.Wolverine said the Brazilian channel was adamant that this is our week. A Bond Holder claimed he was promised liquidity by Tues. 25 June.  Tony maintained that the Dinar Contract rate was $28.50, though you had to ask for it.

Iraqi Dinar ; Iraq's Bold Move: CBI's New Exchange Rate to Boost Dinar V...




Advisor to the Association of Banks: The Central Bank's third strategy is a new methodology for financial and banking reform 


 6/23/2024 Baghdad

Mecca - Exclusive 


Samir Al-Nusairi, advisor to the Iraqi Private Banks Association, confirmed that the Central Bank's third strategy has
drawn up a road map and programs with clear goals and initiatives for a period of three years in a special, complex, and risk-filled economic and financial situation.

Al-Nusairi said, in an interview from Makkah Al-Mukarramah, exclusively for “Al-Iqtisad News,” that “the Central Bank’s third strategy for the years (2024-2026), which derived its main and subsidiary objectives from the general economic policies of the state and its strategy for financial and banking reform that the government adopted in the government curriculum and from Central Bank Law No. 56 of 2004, and the new strategy has drawn up a road map and programs with clear objectives and initiatives for a period of three years in a special and complex economic and financial circumstance full of risks and challenges at the level of internal and external economic and financial relations.”

He pointed out, “What concerns us as specialists in economic, financial, and banking affairs is what are the new mechanisms and policies that the Central Bank has adopted in its monetary policy and banking reform? According to the approach of the fundamental change desired for the national economy, in which the banking sector constitutes the first and basic link and the implementer of monetary policy applications.”

Al-Nusairi explained that “the Central Bank’s third strategy set the basic goals at 7 goals, the sub-goals at 80 goals, and 75 initiatives to achieve the basic and subsidiary goals and charted the way for banking and financial reform in accordance with the following strategic goals: -

1- Supporting and enhancing monetary stability .
2- Promoting digital transformation and activating electronic payment.” Strengthening cybersecurity in the Central Bank and the banking sector.
3- Promoting financial inclusion.
4- Maintaining a sound financial system that guarantees the rights of its customers.
5- Developing the organizational structure and developing human resources capabilities in the central bank.
 6- Strengthening the position of the central bank locally and internationally.
7- Strengthening the compliance of the banking sector Non-banking institutions in line with international standards.

He added, “These strategic objectives have been defined as programs and policies to achieve the primary and subsidiary objectives and
their most prominent initiatives in achieving the first strategic objective, which is the national lending strategy, which will restructure banking financing in Iraq and the initiative to leave the electronic platform and adopt correspondent banks in Iraq.” External transfers and the goals emphasize protecting the financial system, enhancing financial inclusion, managing monetary and financial stability, developing control and supervision, developing regulation in the banking sector, completing the development of the organizational structure in the central bank in accordance with the frameworks and techniques adopted in international central banks, raising the capabilities of human resources, developing banking operations, and enhancing bank relations. internal and external, and to represent him locally and internationally.”

 Al-Nusairi concluded, “By analyzing the mechanisms and action points to achieve the above goals, we note that the strategy identified the planning team, the implementation team, the implementation mechanisms, and responsibility. It also identified clear priorities for achieving reform. Certainly, these priorities were diagnosed in light of the challenges facing the monetary policy and the banking sector, the implementation steps, and the results achieved by the strategy.” The first is for the years 2016-2020 and the second strategy is for the years 2021-2023 and the stifling economic and financial challenges that Iraq has suffered over the past years. Work through this strategy is to clearly identify opportunities to overcome the challenges for this and for the purpose of implementing the banking reform methodology according to what was stated in the strategy and according to an insight into the priorities and challenges that The Iraqi banking sector is suffering from it. The Central Bank made exceptional efforts during this year and last year, completing the first phase of it and began implementing the second phase. Many of the primary and secondary objectives were achieved, and it is trying to complete the achievement of all the objectives in the second half of 2024 and the years 2025 and 2026 of the plan that has been proven to have been prepared and planned. It has identified advanced steps on the path to systematic implementation of the desired financial and banking reform in Iraq.




Texas Snake,

 [06/21/2024, 6:30:45 p. m.]:

It's been awhile since I last posted however I only post when the info is confirmed.  

Well the WF Banker responsible for 5 states exchange centers has advised that all his trained specialists will be on a one hour call to their assigned positions all this coming weekend and were cautioned this event could very well be activated so they should be aware of their duties for the next several weeks.

First they schedule appointments then they operate the necessary machinery at the various banks to complete the exchanges for US currency.


Well one item that was confirmed during the call is that there were hundreds of ATM machines positioned all over the city and loaded with new lower denomination notes.  They anticipate this weekend or during the Holy Week celebration.


Texas Snake, [06/21/2024, 6:30:46 p. m.]:

It's been awhile since I last posted however I only post when the info is confirmed.  Well the WF Banker responsible for 5 states exchange centers has advised that all his trained specialists will be on a one hour call to their assigned positions all this coming weekend and were cautioned this event could very well be activated so they should be aware of their duties for the next several weeks.

First they schedule appointments then they operate the necessary machinery at the various banks to complete the exchanges for US currency.

CBI Talk With European Delegation To Increase The Rate Of Iraqi Dinar To...